# Wanted
Could you write out all of the lines below word for word?

# Data
Nd8Ir3SeI4 | GGA-PBE | optimized geometry

It has space group R-3m (No. 166, hexagonal axes), with a = 8.5735 Å, b = 8.5735 Å, c = 24.0426 Å, α = 90.00°, β = 90.00° and γ = 120.00°. The asymmetric unit holds Nd at (0.0000, 0.0000, 0.2280), Nd at (0.0200, 0.5100, 0.7708), Ir at (0.0000, 0.5000, 0.5000), Se at (0.0000, 0.0000, 0.5000), I at (0.0000, 0.0000, 0.0000) and I at (0.0000, 0.5000, 0.0000).

For the density of states at the Fermi level, the calculation gives 24.66 states/eV per cell. As for the total energy: -5.702 eV per atom.


Nb2SiS | GGA-PBE | optimized geometry

It has space group I-42d (No. 122), with a = 5.525 Å, b = 5.525 Å, c = 11.642 Å, α = 90.00°, β = 90.00° and γ = 90.00°. The asymmetric unit holds Nb at (0.235, 0.250, 0.125), Si at (0.000, 0.000, 0.500) and S at (0.000, 0.000, 0.000).

For the density of states at the Fermi level, the calculation gives 15.76 states/eV per cell. As for the total energy: -7.216 eV per atom.


(P)
## SrMoAs2 (meta-GGA SCAN)

Data for SrMoAs2 at its PBEsol-relaxed geometry.

Cell lengths 6.804, 6.804, 6.804 Å; angles 90.00, 90.00, 90.00 degrees
Space group F-43m (No. 216)
Symmetry-distinct sites (fractional):
Sr1 0.000 0.000 0.000 [4 per cell]
Mo1 0.250 0.250 0.750 [4 per cell]
As1 0.000 0.000 0.500 [4 per cell]
As2 0.250 0.250 0.250 [4 per cell]

As for the density of states at the Fermi level: 8.67 states/eV/cell. The calculation puts the magnetic moment at 2.31 μB/f.u.

(Q)
## SrMoAs2 (meta-GGA SCAN)

Data for SrMoAs2 at its PBEsol-relaxed geometry.

Cell lengths 3.7505, 3.7505, 20.9625 Å; angles 90.00, 90.00, 120.00 degrees
Space group R-3m (No. 166, hexagonal axes)
Symmetry-distinct sites (fractional):
Sr1 0.0000 0.0000 0.0000 [3 per cell]
Mo1 0.0000 0.0000 0.5000 [3 per cell]
As1 0.0000 0.0000 0.2338 [6 per cell]

As for the density of states at the Fermi level: 2.67 states/eV/cell. The calculation puts the magnetic moment at 0.00 μB/f.u.

Least stable: (P)

(P)
## TcMoAs2 (meta-GGA SCAN)

Data for TcMoAs2 at its PBEsol-relaxed geometry.

Cell lengths 2.912, 3.882, 5.322 Å; angles 90.00, 90.00, 90.00 degrees
Space group Pmm2 (No. 25)
Symmetry-distinct sites (fractional):
Tc1 0.000 0.000 0.000 [1 per cell]
Mo1 0.500 0.500 0.682 [1 per cell]
As1 0.000 0.000 0.507 [1 per cell]
As2 0.500 0.500 0.169 [1 per cell]

As for the density of states at the Fermi level: 2.56 states/eV/cell. The calculation puts the magnetic moment at 0.39 μB/f.u.

(Q)
## TcMoAs2 (meta-GGA SCAN)

Data for TcMoAs2 at its PBEsol-relaxed geometry.

Cell lengths 6.243, 6.243, 6.243 Å; angles 90.00, 90.00, 90.00 degrees
Space group F-43m (No. 216)
Symmetry-distinct sites (fractional):
Tc1 0.000 0.000 0.000 [4 per cell]
Mo1 0.250 0.250 0.250 [4 per cell]
As1 0.000 0.000 0.500 [4 per cell]
As2 0.250 0.250 0.750 [4 per cell]

As for the density of states at the Fermi level: 16.95 states/eV/cell. The calculation puts the magnetic moment at 0.00 μB/f.u.

(R)
## TcMoAs2 (meta-GGA SCAN)

Data for TcMoAs2 at its PBEsol-relaxed geometry.

Cell lengths 3.112, 4.593, 9.344 Å; angles 90.00, 90.00, 90.00 degrees
Space group Cmm2 (No. 35)
Symmetry-distinct sites (fractional):
Tc1 0.000 0.000 0.000 [2 per cell]
Mo1 0.000 0.500 0.770 [2 per cell]
As1 0.000 0.000 0.547 [2 per cell]
As2 0.000 0.500 0.213 [2 per cell]

As for the density of states at the Fermi level: 6.80 states/eV/cell. The calculation puts the magnetic moment at 0.00 μB/f.u.

(S)
## TcMoAs2 (meta-GGA SCAN)

Data for TcMoAs2 at its PBEsol-relaxed geometry.

Cell lengths 5.911, 7.924, 2.945 Å; angles 90.00, 116.86, 90.00 degrees
Space group C2/m (No. 12)
Symmetry-distinct sites (fractional):
Tc1 0.000 0.000 0.000 [2 per cell]
Mo1 0.000 0.500 0.000 [2 per cell]
As1 0.250 0.250 0.500 [4 per cell]

As for the density of states at the Fermi level: 5.59 states/eV/cell. The calculation puts the magnetic moment at 0.00 μB/f.u.

Least stable: (Q)

(P)
## TcMoAs2 (meta-GGA SCAN)

Data for TcMoAs2 at its PBEsol-relaxed geometry.

# Written answer
Nd8Ir3SeI4 | GGA-PBE | optimized geometry

It has space group R-3m (No. 166, hexagonal axes), with a = 8.5735 Å, b = 8.5735 Å, c = 24.0426 Å, α = 90.00°, β = 90.00° and γ = 120.00°. The asymmetric unit holds Nd at (0.0000, 0.0000, 0.2280), Nd at (0.0200, 0.5100, 0.7708), Ir at (0.0000, 0.5000, 0.5000), Se at (0.0000, 0.0000, 0.5000), I at (0.0000, 0.0000, 0.0000) and I at (0.0000, 0.5000, 0.0000).

For the density of states at the Fermi level, the calculation gives 24.66 states/eV per cell. As for the total energy: -5.702 eV per atom.


Nb2SiS | GGA-PBE | optimized geometry

It has space group I-42d (No. 122), with a = 5.525 Å, b = 5.525 Å, c = 11.642 Å, α = 90.00°, β = 90.00° and γ = 90.00°. The asymmetric unit holds Nb at (0.235, 0.250, 0.125), Si at (0.000, 0.000, 0.500) and S at (0.000, 0.000, 0.000).

For the density of states at the Fermi level, the calculation gives 15.76 states/eV per cell. As for the total energy: -7.216 eV per atom.


(P)
## SrMoAs2 (meta-GGA SCAN)

Data for SrMoAs2 at its PBEsol-relaxed geometry.

Cell lengths 6.804, 6.804, 6.804 Å; angles 90.00, 90.00, 90.00 degrees
Space group F-43m (No. 216)
Symmetry-distinct sites (fractional):
Sr1 0.000 0.000 0.000 [4 per cell]
Mo1 0.250 0.250 0.750 [4 per cell]
As1 0.000 0.000 0.500 [4 per cell]
As2 0.250 0.250 0.250 [4 per cell]

As for the density of states at the Fermi level: 8.67 states/eV/cell. The calculation puts the magnetic moment at 2.31 μB/f.u.

(Q)
## SrMoAs2 (meta-GGA SCAN)

Data for SrMoAs2 at its PBEsol-relaxed geometry.

Cell lengths 3.7505, 3.7505, 20.9625 Å; angles 90.00, 90.00, 120.00 degrees
Space group R-3m (No. 166, hexagonal axes)
Symmetry-distinct sites (fractional):
Sr1 0.0000 0.0000 0.0000 [3 per cell]
Mo1 0.0000 0.0000 0.5000 [3 per cell]
As1 0.0000 0.0000 0.2338 [6 per cell]

As for the density of states at the Fermi level: 2.67 states/eV/cell. The calculation puts the magnetic moment at 0.00 μB/f.u.

Least stable: (P)

(P)
## TcMoAs2 (meta-GGA SCAN)

Data for TcMoAs2 at its PBEsol-relaxed geometry.

Cell lengths 2.912, 3.882, 5.322 Å; angles 90.00, 90.00, 90.00 degrees
Space group Pmm2 (No. 25)
Symmetry-distinct sites (fractional):
Tc1 0.000 0.000 0.000 [1 per cell]
Mo1 0.500 0.500 0.682 [1 per cell]
As1 0.000 0.000 0.507 [1 per cell]
As2 0.500 0.500 0.169 [1 per cell]

As for the density of states at the Fermi level: 2.56 states/eV/cell. The calculation puts the magnetic moment at 0.39 μB/f.u.

(Q)
## TcMoAs2 (meta-GGA SCAN)

Data for TcMoAs2 at its PBEsol-relaxed geometry.

Cell lengths 6.243, 6.243, 6.243 Å; angles 90.00, 90.00, 90.00 degrees
Space group F-43m (No. 216)
Symmetry-distinct sites (fractional):
Tc1 0.000 0.000 0.000 [4 per cell]
Mo1 0.250 0.250 0.250 [4 per cell]
As1 0.000 0.000 0.500 [4 per cell]
As2 0.250 0.250 0.750 [4 per cell]

As for the density of states at the Fermi level: 16.95 states/eV/cell. The calculation puts the magnetic moment at 0.00 μB/f.u.

(R)
## TcMoAs2 (meta-GGA SCAN)

Data for TcMoAs2 at its PBEsol-relaxed geometry.

Cell lengths 3.112, 4.593, 9.344 Å; angles 90.00, 90.00, 90.00 degrees
Space group Cmm2 (No. 35)
Symmetry-distinct sites (fractional):
Tc1 0.000 0.000 0.000 [2 per cell]
Mo1 0.000 0.500 0.770 [2 per cell]
As1 0.000 0.000 0.547 [2 per cell]
As2 0.000 0.500 0.213 [2 per cell]

As for the density of states at the Fermi level: 6.80 states/eV/cell. The calculation puts the magnetic moment at 0.00 μB/f.u.

(S)
## TcMoAs2 (meta-GGA SCAN)

Data for TcMoAs2 at its PBEsol-relaxed geometry.

Cell lengths 5.911, 7.924, 2.945 Å; angles 90.00, 116.86, 90.00 degrees
Space group C2/m (No. 12)
Symmetry-distinct sites (fractional):
Tc1 0.000 0.000 0.000 [2 per cell]
Mo1 0.000 0.500 0.000 [2 per cell]
As1 0.250 0.250 0.500 [4 per cell]

As for the density of states at the Fermi level: 5.59 states/eV/cell. The calculation puts the magnetic moment at 0.00 μB/f.u.

Least stable: (Q)

(P)
## TcMoAs2 (meta-GGA SCAN)

Data for TcMoAs2 at its PBEsol-relaxed geometry.